Friday, November 13, 2009

President's Statement

Unrelated to this page: data records:
'''
# NaReSiPd2

A relaxed NaReSiPd2 crystal (GGA-PBE, Alexandria).

## Properties
Formation energy without anion corrections in meV/atom: 1738

```
5
Lattice="4.404 0.000 0.000 0.000 4.633 0.000 0.000 0.000 4.404" Properties=species:S:1:pos:R:3 pbc="T T T"
Re 2.202 2.317 2.202
Si 0.000 2.317 0.000
Pd 0.000 0.000 2.202
Pd 2.202 0.000 0.000
Na 0.000 0.000 0.000
```

# NaTi2RePd

A relaxed NaTi2RePd crystal (GGA-PBE, Alexandria).

## Properties
Formation energy in eV per atom: 0.959

```
5
Lattice="-1.905 3.823 -1.856 -4.778 -1.782 1.233 0.268 2.138 4.129" Properties=species:S:1:pos:R:3 pbc="T T T"
Re 0.000 0.000 0.000
Na -2.389 -0.891 0.616
Pd -3.208 2.090 1.753
Ti 0.134 1.069 2.065
Ti -0.952 1.912 -0.928
```

# NaRePd2W

A relaxed NaRePd2W crystal (GGA-PBE, Alexandria).

## Properties
Formation energy in eV per atom: 1.226

```
5
Lattice="-3.030 -0.776 3.837 3.184 -2.842 1.940 2.005 3.860 2.364" Properties=species:S:1:pos:R:3 pbc="T T T"
Re 1.592 -1.421 0.970
Pd 1.003 1.930 1.182
Pd -1.515 -0.388 1.919
W 0.000 0.000 0.000
Na 1.080 0.121 4.071
```

DFT total energy readings, ordered: -0.3070 -0.4403 -0.4554 Ry per atom
Magnetization readings, ordered: 2.13 0.00 0.00 μB/cell

----------

Entry 1:
! LaY2Al2Ga2 (PBE, relaxed); values from VASP
! **ΔH_f (0 K)**: -426 meV/atom
! **Space-group type**: No. 166
! **Energy**: -4.91 eV/atom
&SYSTEM
  ibrav = 0, nat = 7, ntyp = 4
/
ATOMIC_SPECIES
La 138.91 La.upf
Y 88.91 Y.upf
Al 26.98 Al.upf
Ga 69.72 Ga.upf
ATOMIC_POSITIONS crystal
La 0.000 0.000 0.000
Y 0.130 0.130 0.130
Y 0.870 0.870 0.870
Al 0.399 0.399 0.399
Al 0.601 0.601 0.601
Ga 0.253 0.253 0.253
Ga 0.747 0.747 0.747
CELL_PARAMETERS angstrom
2.203 1.272 10.250
-2.203 1.272 10.250
0.000 -2.544 10.250

Entry 2:
! LaYAl2Ga2 (PBE, relaxed); values from VASP
! **ΔH_f (0 K)**: -589 meV/atom
! **Space-group type**: No. 164
! **Energy**: -4.74 eV/atom
&SYSTEM
  ibrav = 0, nat = 6, ntyp = 4
/
ATOMIC_SPECIES
La 138.91 La.upf
Y 88.91 Y.upf
Al 26.98 Al.upf
Ga 69.72 Ga.upf
ATOMIC_POSITIONS crystal
La 0.000 0.000 0.000
Y 0.000 0.000 0.500
Al 0.333 0.667 0.739
Al 0.667 0.333 0.261
Ga 0.333 0.667 0.264
Ga 0.667 0.333 0.736
CELL_PARAMETERS angstrom
4.323 0.000 0.000
-2.162 3.744 0.000
0.000 0.000 8.563

Entry 3:
! La2Al3Zn4Ga (PBE, relaxed); values from VASP
! **ΔH_f (0 K)**: -444 meV/atom
! **Space-group type**: No. 115
! **Energy**: -3.36 eV/atom
&SYSTEM
  ibrav = 0, nat = 10, ntyp = 4
/
ATOMIC_SPECIES
La 138.91 La.upf
Al 26.98 Al.upf
Zn 65.41 Zn.upf
Ga 69.72 Ga.upf
ATOMIC_POSITIONS crystal
La 0.000 0.500 0.249
La 0.500 0.000 0.751
Al 0.000 0.500 0.869
Al 0.500 0.000 0.131
Al 0.500 0.500 0.500
Zn 0.000 0.000 0.000
Zn 0.000 0.500 0.636
Zn 0.500 0.000 0.364
Zn 0.500 0.500 0.000
Ga 0.000 0.000 0.500
CELL_PARAMETERS angstrom
4.330 0.000 0.000
0.000 4.330 0.000
0.000 0.000 10.736

Entry 4:
! La3Al2Zn6Ga (PBE, relaxed); values from VASP
! **ΔH_f (0 K)**: -167 meV/atom
! **Space-group type**: No. 164
! **Energy**: -2.91 eV/atom
&SYSTEM
  ibrav = 0, nat = 12, ntyp = 4
/
'''

November 12, 2009

During the past year I committed myself to open a dialogue between the WDA and USA for the betterment of the German shepherd dog in the United States. Those discussions actually led to an agreement to work out details of a merger. However, the possibility of a merger unfortunately dissipated when the WDA signed a contract to continue their association with the GSDCA.

As an organization, we should be very proud of our accomplishments over the past thirty three years. The United Schutzhund Clubs of America, as a breed club, has played a most significant role in reestablishing the German shepherd dog in the United States as a truly utilitarian breed. I was recently reminded, by a GSDCA member that the GSDCA is the oldest German shepherd dog club in the world with the exception of the SV. Isn’t it strange, as to the severe differences in both structure and temperament that now exist?

The recent by-law change that was presented at the General Board Meeting was done so with one thought in mind: to protect the United Schutzhund Clubs of America and the FCI breed standard for the German shepherd dog by eliminating the “Conflict of Interest” that is evidenced by those members who are also members of competing German shepherd dog organizations. This by-law change was accepted by the necessary 2/3 majority vote of the General Board. Several of those that were in the 1/3 minority have admitted to being members of the GSDCA and GSDCA WDA. Obviously, this is a conflict of interest, whether they were conscious of it or not.

The by-law is now in effect for anyone seeking membership in the United Schutzhund Clubs of America and will affect current members when they renew their membership.

I have received many letters and phone calls of support for this by-law change from our membership and of course have also heard from those that are unhappy with the outcome. Many have expressed that they are not happy about being told what they can or cannot do. I ask you to think of the future and the necessary steps to protect our breed and our organization from those who may attempt to destroy it and you will possibly come to the same realization as those members of the United Schutzhund Clubs of America whom voted in favor of this by-law. This by-law shall make evident that we, as an organization, cannot and will not sacrifice thirty three years of effort to reestablish the FCI and WUSV standard for the German shepherd dog in the United States to those organizations that have a completely different mind set about the character of the German shepherd dog. Please take into account that the WDA as an organization is not recognized by the WUSV but the GSDCA is recognized by the WUSV.

As we enter into the Holiday Season, I ask each of you to take the time to be thankful for what we have accomplished over the past thirty three years as an organization. If all of us were to put forth the positive and selfless effort, on even the smallest scale that is exhibited by many of our members in our local clubs, committees and boards many more will be able to experience success with their dogs. I am pleased to say that we continue excellent relations with the SV as a full member club within the WUSV. I look forward to continuing our working relationship between the SV and the United Schutzhund Clubs of America in the months and years to come.

As always, I wish to express my sincere thanks to each and every member for their continued support and their spirit of camaraderie in furthering the goals of the United Schutzhund Clubs of America. For more than thirty-three years, the efforts of our membership to protect and preserve the German shepherd dog through the use of our breed evaluations have continued to ensure that our future generations will be able to experience the joy of owning a German shepherd dog with true working temperament.

I wish each of you happiness and success with your dogs in all walks of your life!

Lyle Roetemeyer
United Schutzhund Clubs of America
for the German shepherd dog

Monday, November 2, 2009

Twin County SchH Club Trial Report

Karen sent a nice trial report and tribute to Rudi Mietzner. Read it on the Club Reports page.